Software Requirements
Why New Products?
Better meet need
Meet unmet need
Offer new features and functions
_Someone pasted quantum chemistry results at this point_
********
Density functional theory data (ωB97M-V/def2-TZVPD) for a structure of composition C3HNiO2 in a non-equilibrium geometry.

Last column: Löwdin spin population.
Atoms and positions in Å:
1 H 0.2026 -1.7460 -0.5862  0.01
2 C -0.3645 -0.9231 0.2159  0.18
3 C 0.6313 -0.2316 -0.3378  0.28
4 O -1.5063 -0.2903 0.3536  0.24
5 Ni 2.2867 0.4166 0.4140  1.23
6 O -0.0140 1.3942 -0.1831  0.01
7 C -1.2357 1.3802 0.1236  0.05

## Properties
Max |F| (hartree/bohr): 0.0813
Net charge: +1
<S²>: 2.02
LUMO energy (spin up / spin down) (eV): -6.4252 / -8.8193
Gap between HOMO and LUMO (spin up / spin down) (eV): 9.1 / 6.5
Energy above the lowest of the compared OMol25 structures with the same formula, charge and spin (kcal per mole): 84.9
2S+1: 3

Density functional theory data (ωB97M-V/def2-TZVPD) for a structure of composition C3HNiO3 in a non-equilibrium geometry.

Last column: Löwdin spin population.
Atoms and positions in Å:
1 C 1.6059 0.2106 -1.2575  0.15
2 C 0.4155 0.3509 -1.1510  0.06
3 O 2.9071 0.0942 -1.2631  0.06
4 H 3.1852 -0.7993 -1.5034  0.00
5 O -0.9117 0.5548 -1.1396  0.26
6 C -1.6794 -0.4187 -0.5160  0.37
7 O -1.9633 -0.0688 0.6635  0.16
8 Ni -3.4447 -0.5056 1.3719  0.94

## Properties
Max |F| (hartree/bohr): 0.0991
Net charge: +1
<S²>: 2.01
LUMO energy (spin up / spin down) (eV): -5.2283 / -7.6968
Gap between HOMO and LUMO (spin up / spin down) (eV): 8.9 / 5.9
Energy above the lowest of the compared OMol25 structures with the same formula, charge and spin (kcal per mole): 0.0
2S+1: 3

Density functional theory data (ωB97M-V/def2-TZVPD) for a structure of composition C3HO2Sc in a non-equilibrium geometry.

Last column: Löwdin charge in e.
Atoms and positions in Å:
1 H -1.6875 -0.6774 -1.0863  0.18
2 C -0.3274 0.3053 -1.1460  -0.15
3 C -0.8281 -0.4996 -0.2353  -0.08
4 O 0.7901 0.6535 -1.5037  0.23
5 Sc -1.2178 -0.0293 1.8009  1.63
6 O 1.1492 -0.0549 1.3654  -0.09
7 C 2.1216 0.3025 0.8051  0.26

## Properties
Max |F| (hartree/bohr): 0.2092
Net charge: +2
LUMO energy (spin up / spin down) (eV): -12.3697 / -11.2089
Gap between HOMO and LUMO (spin up / spin down) (eV): 7.0 / 9.2
Energy above the lowest of the compared OMol25 structures with the same formula, charge and spin (kcal per mole): 48.4
2S+1: 1

Density functional theory data (ωB97M-V/def2-TZVPD) for a structure of composition C3HO2Zn in a non-equilibrium geometry.

Last column: Löwdin charge in e.
Atoms and positions in Å:
1 O 0.3962 -1.1526 0.0240  -0.02
2 O 0.1230 1.0260 0.0319  -0.02
3 C -0.3595 -0.1427 -0.0388  -0.65
4 Zn 1.9056 0.1497 0.0504  1.35
5 C -2.7985 0.4808 0.0994  0.31
6 C -1.8243 -0.3321 -0.1579  -0.13
7 H -2.3570 -1.3216 0.0694  0.17

## Properties
Max |F| (hartree/bohr): 0.0429
Net charge: +1
LUMO energy (eV): -8.4358
Gap between HOMO and LUMO (eV): 6.8
Energy above the lowest of the compared OMol25 structures with the same formula, charge and spin (kcal per mole): 29.2
2S+1: 1
********
Hard but necessary to verify market for software product
Features, Ilities, Design Constraints
Feature can be captured by "story card": for example "As an author I need a way to organize the text of my book into chapters and sections."
"-ility" is something that needs to be true of the software but isn't really a feature: for example "every software transaction must complete within 60 seconds"
Design constraint is a requirement that exists for reasons outside the software product: for example "The software must be written in UCSD Pascal."
Software is always for people
Making "representative" people up helps in understanding what software needs to be / do
Be a fiction writer — give names and humanizing details, for example: "'Lando' (gamer tag) is a 14-year-old male. He lives with his Mom in a suburb of Portland. He mostly plays multiplayer FPS and TPS games, especially Halo and Counterstrike. He uses Discord for in-game voice and text chat."
Maybe five-ish persona depending on product scope? Be sure to cover all major roles that might interact
Validate your personas with domain experts
Detailed stories about using the software, for example "Lando sits down at his gaming desktop and logs into the game using his Steam account. He starts to create a new character, selecting female gender and combat infantry class, and starts to fill out cosmetics. Lando's mother calls dinner — Lando leaves the screen open and leaves the room to eat. While he is out, there is a momentary power failure. When Lando returns he reboots his computer, logs back in, and proceeds to complete character creation by selecting a starting zone."
Detail helps catch missing stuff, and gives basis for organization
Again, be a fiction writer, but validate your secenarios with domain experts
Should be scenarios for all personas; should be scenarios that cover most normal use
User Stories
Story cards contain actual requirements, for example "As a player I want to create a customized character"
Developed from scenarios, personas, product vision
"Epic" is story that is too big to be directly implementable: include, but then break up into multiple story cards. For example, above might be "As a player, I want to select my character's gender", "As a player, I want to select my character's class", etc…
User stories should be directly actionable as code
Reqs Development Tips
Ruthlessly eliminate anything not absolutely necessary (can always add back after release)
[Data records from another source follow]
********
# 1
A structure of composition C5H8N2O in a non-equilibrium geometry, computed with ωB97M-V with the def2-TZVPD basis set.

CARTESIAN COORDINATES (ANGSTROEM)
C1 0.7520 -0.7718 0.0977
H1 -2.3285 -1.6629 0.2983
H2 -0.4647 0.8122 1.9733
H3 -2.1640 0.0981 1.8211
O1 -1.4498 -1.6369 -0.1007
C2 -0.6862 -0.6931 0.5303
N1 1.4041 -1.8775 0.1214
C3 1.4439 0.4352 -0.3056
C4 0.1648 1.2345 -1.5795
H4 0.7074 1.0530 -2.4944
H5 0.8150 -2.6471 0.4342
H6 0.4842 2.2940 0.2217
H7 -0.9204 1.1954 -1.5973
H8 2.5218 0.3513 -0.4043
N2 0.8556 1.6907 -0.4983
C5 -1.1352 0.1249 1.4821

- Total charge: 0
- Max |F|: 1.25 eV/A
- Relative energy (zero: lowest compared OMol25 entry of this formula, charge and spin): 98.8 kcal/mol
- Gap between HOMO and LUMO: 0.312 Ha
- Electronic energy: -10338.4428 eV

Mulliken population analysis, charges in e, atoms 1 to 5:
1. C 0.8674
2. H 0.3266
3. H 0.2942
4. H 0.2507
5. O -0.4747

# 2
A cluster of 3 separate species, C2H12NO2S in total in a non-equilibrium geometry, computed with ωB97M-V with the def2-TZVPD basis set.

CARTESIAN COORDINATES (ANGSTROEM)
H1 -1.5654 -0.8219 2.8276
S1 1.4906 2.0879 1.4867
H2 1.2302 -0.5684 0.0226
H3 2.5785 1.2650 -0.5524
H4 -1.0282 1.2698 -0.5671
H5 -1.6528 -2.6630 -1.2891
H6 1.3517 2.4052 -0.9108
O1 -1.0680 -2.0488 -1.7801
O2 -0.9898 -0.9685 2.0689
H7 -0.8382 -2.6816 -2.4819
N1 -0.6620 0.3577 -0.3010
C1 0.8170 0.2644 -0.5397
C2 1.5521 1.5520 -0.2764
H8 0.8678 0.0130 -1.6076
H9 -1.1416 -0.3786 -0.8390
H10 -1.0179 0.0946 0.6510
H11 0.2260 2.2182 1.8191
H12 -0.1502 -1.3971 2.2690

- Total charge: +1
- Max |F|: 1.92 eV/A
- Relative energy (zero: lowest compared OMol25 entry of this formula, charge and spin): 11.0 kcal/mol
- Gap between HOMO and LUMO: 0.361 Ha
- Electronic energy: -18682.7483 eV

Mulliken population analysis, charges in e, atoms 1 to 5:
1. H 0.3091
2. S -0.1612
3. H 0.2933
4. H 0.3448
5. H 0.3925

# 3
The molecule C3H8N2 in a non-equilibrium geometry, computed with ωB97M-V with the def2-TZVPD basis set.

CARTESIAN COORDINATES (ANGSTROEM)
C1 -0.1995 -1.2476 0.0390
C2 -0.0805 0.1304 0.5894
H1 0.0959 0.4163 1.6396
H2 1.3388 1.7041 0.1650
C3 1.0573 0.6826 -0.2429
H3 -1.8990 0.8287 1.2979
H4 1.9686 -0.0463 -0.2913
H5 0.0604 -2.0671 0.7135
N1 -2.0355 -0.1340 -0.5051
H6 0.7189 0.9541 -1.2543
H7 -1.4881 0.0541 -1.3811
N2 -1.4300 0.7725 0.3930
H8 -0.2252 -1.5295 -1.0270

- Total charge: 0
- Max |F|: 2.53 eV/A
- Relative energy (zero: lowest compared OMol25 entry of this formula, charge and spin): 142.1 kcal/mol
- Gap between HOMO and LUMO (spin up / spin down): 0.317 / 0.328 Ha
- Electronic energy: -6215.6839 eV

Mulliken population analysis, charges in e, atoms 1 to 5:
1. C -0.6713
2. C 0.0882
3. H 0.3423
4. H 0.3217
5. C -1.0619

# 4
The molecule C4H6O2, computed with ωB97M-V with the def2-TZVPD basis set.

CARTESIAN COORDINATES (ANGSTROEM)
H1 -0.0130 -1.2994 -2.2482
C1 -0.5371 -1.6891 -1.3465
H2 -1.0541 0.9852 0.8743
O1 -1.4693 -2.4452 -1.4489
C2 -0.0165 1.1155 0.5552
O2 0.5295 0.0937 -0.1624
********
[Here the page continues]
Update/add scenarios to reflect changing vision and requirements
Don't forget the -ilities!
Avoid design constraints as much as possible, as they can really limit solution space